Material >
<<<
The following is a computed powder XRD pattern of Ce3Si3Pt2. It was derived from a DFT-relaxed cell (PBE, Alexandria), using CuKα.

Largest 8 diffraction maxima, by angle, 15 to 90 degrees two-theta:
| 2theta | d (Å) | I (rel.) |
| --- | --- | --- |
| 17.57 | 5.048 | 34.3 |
| 23.66 | 3.761 | 38.7 |
| 32.80 | 2.730 | 63.9 |
| 32.93 | 2.720 | 100.0 |
| 33.41 | 2.682 | 63.2 |
| 35.82 | 2.507 | 25.9 |
| 40.84 | 2.210 | 78.9 |
| 42.71 | 2.117 | 41.6 |

Structure:
a = 5.762 Å, b = 5.762 Å, c = 15.043 Å
α = 90.00°, β = 90.00°, γ = 136.88°
Positions (direct):
Ce 0.091 0.909 0.750
Ce 0.369 0.631 0.599
Ce 0.369 0.631 0.901
Ce 0.631 0.369 0.099
Ce 0.631 0.369 0.401
Ce 0.909 0.091 0.250
Si 0.084 0.916 0.550
Si 0.084 0.916 0.950
Si 0.193 0.807 0.250
Si 0.807 0.193 0.750
Si 0.916 0.084 0.050
Si 0.916 0.084 0.450
Pt 0.340 0.660 0.115
Pt 0.340 0.660 0.385
Pt 0.660 0.340 0.615
Pt 0.660 0.340 0.885
>>>

What to do >
It remains to reproduce the part of the lines further up that starts with the line with "Positions (direct):" and stops after the one with "0.950".

Response >
Positions (direct):
Ce 0.091 0.909 0.750
Ce 0.369 0.631 0.599
Ce 0.369 0.631 0.901
Ce 0.631 0.369 0.099
Ce 0.631 0.369 0.401
Ce 0.909 0.091 0.250
Si 0.084 0.916 0.550
Si 0.084 0.916 0.950